Brief:
Please type out all of the notes further down without additions.

Source:
********
TmB3O6 | the Materials Project database | GGA-PBE | optimized geometry; SG = Pnma, No. 62; electronic total energy = -1313.8 eV/cell; magnetization = 0.00 μB per formula unit
1.0
-0.652 -6.623 -3.231
4.494 -5.337 10.032
-14.718 -1.404 5.846
Tm B O
16 48 96
Direct
0.750 0.765 0.629 Tm
0.750 0.010 0.121 Tm
0.750 0.436 0.327 Tm
0.750 0.490 0.621 Tm
0.250 0.265 0.871 Tm
0.750 0.064 0.827 Tm
0.250 0.564 0.673 Tm
0.250 0.235 0.371 Tm
0.250 0.936 0.173 Tm
0.250 0.990 0.879 Tm
0.250 0.510 0.379 Tm
0.750 0.412 0.951 Tm
0.750 0.088 0.451 Tm
0.250 0.912 0.549 Tm
0.250 0.588 0.049 Tm
0.750 0.735 0.129 Tm
0.569 0.128 0.259 B
0.059 0.823 0.033 B
0.930 0.686 0.782 B
0.569 0.372 0.759 B
0.931 0.372 0.759 B
0.423 0.142 0.110 B
0.577 0.642 0.390 B
0.427 0.346 0.056 B
0.559 0.323 0.467 B
0.923 0.858 0.890 B
0.578 0.483 0.152 B
0.922 0.017 0.652 B
0.422 0.517 0.848 B
0.069 0.628 0.241 B
0.070 0.186 0.718 B
0.941 0.323 0.467 B
0.573 0.846 0.444 B
0.070 0.314 0.218 B
0.430 0.186 0.718 B
0.078 0.517 0.848 B
0.927 0.846 0.444 B
0.931 0.128 0.259 B
0.923 0.642 0.390 B
0.441 0.823 0.033 B
0.573 0.654 0.944 B
0.431 0.872 0.741 B
0.078 0.983 0.348 B
0.077 0.358 0.610 B
0.559 0.177 0.967 B
0.427 0.154 0.556 B
0.927 0.654 0.944 B
0.423 0.358 0.610 B
0.570 0.686 0.782 B
0.577 0.858 0.890 B
0.570 0.814 0.282 B
0.059 0.677 0.533 B
0.077 0.142 0.110 B
0.073 0.346 0.056 B
0.422 0.983 0.348 B
0.578 0.017 0.652 B
0.441 0.677 0.533 B
0.431 0.628 0.241 B
0.430 0.314 0.218 B
0.930 0.814 0.282 B
0.941 0.177 0.967 B
0.073 0.154 0.556 B
0.922 0.483 0.152 B
0.069 0.872 0.741 B
0.025 0.210 0.477 O
0.061 0.931 0.432 O
0.975 0.710 0.023 O
0.561 0.069 0.568 O
0.566 0.121 0.048 O
0.250 0.639 0.276 O
0.568 0.064 0.337 O
0.750 0.643 0.755 O
0.439 0.569 0.932 O
0.750 0.600 0.952 O
0.544 0.880 0.097 O
0.475 0.210 0.477 O
0.750 0.139 0.224 O
0.750 0.603 0.422 O
0.034 0.076 0.186 O
0.434 0.879 0.952 O
0.433 0.601 0.782 O
0.568 0.436 0.837 O
0.750 0.304 0.432 O
0.567 0.399 0.218 O
0.939 0.431 0.068 O
0.250 0.804 0.068 O
0.567 0.101 0.718 O
0.926 0.765 0.371 O
0.074 0.265 0.129 O
0.250 0.397 0.578 O
0.750 0.543 0.158 O
0.523 0.770 0.722 O
0.534 0.924 0.814 O
0.250 0.357 0.245 O
0.750 0.897 0.922 O
0.544 0.620 0.597 O
0.966 0.924 0.814 O
0.574 0.735 0.871 O
0.250 0.043 0.342 O
0.066 0.621 0.452 O
0.939 0.069 0.568 O
0.466 0.076 0.186 O
0.066 0.879 0.952 O
0.426 0.235 0.629 O
0.456 0.380 0.403 O
0.566 0.379 0.548 O
0.956 0.880 0.097 O
0.061 0.569 0.932 O
0.934 0.121 0.048 O
0.023 0.270 0.778 O
0.977 0.730 0.222 O
0.750 0.857 0.255 O
0.067 0.601 0.782 O
0.750 0.900 0.452 O
0.250 0.100 0.548 O
0.250 0.400 0.048 O
0.034 0.424 0.686 O
0.977 0.770 0.722 O
0.434 0.621 0.452 O
0.432 0.936 0.663 O
0.933 0.399 0.218 O
0.250 0.696 0.568 O
0.475 0.290 0.977 O
0.023 0.230 0.278 O
0.934 0.379 0.548 O
0.561 0.431 0.068 O
0.477 0.230 0.278 O
0.250 0.143 0.745 O
0.250 0.103 0.078 O
0.025 0.290 0.977 O
0.068 0.564 0.163 O
0.439 0.931 0.432 O
0.044 0.120 0.903 O
0.466 0.424 0.686 O
0.750 0.196 0.932 O
0.525 0.790 0.523 O
0.426 0.265 0.129 O
0.975 0.790 0.523 O
0.534 0.576 0.314 O
0.574 0.765 0.371 O
0.433 0.899 0.282 O
0.068 0.936 0.663 O
0.250 0.861 0.776 O
0.456 0.120 0.903 O
0.750 0.361 0.724 O
0.750 0.957 0.658 O
0.250 0.457 0.842 O
0.044 0.380 0.403 O
0.074 0.235 0.629 O
0.926 0.735 0.871 O
0.956 0.620 0.597 O
0.432 0.564 0.163 O
0.933 0.101 0.718 O
0.477 0.270 0.778 O
0.067 0.899 0.282 O
0.966 0.576 0.314 O
0.525 0.710 0.023 O
0.932 0.064 0.337 O
0.523 0.730 0.222 O
0.932 0.436 0.837 O

=====

Cd2As3Br | the Materials Project database | GGA-PBE | optimized geometry; SG = C2/c, No. 15; electronic total energy = -38.3 eV/cell
1.0
-2.524 -1.159 -5.781
6.156 0.205 -1.787
1.323 -8.074 -0.119
Cd As Br
4 6 2
Direct
0.388 0.087 0.208 Cd
0.913 0.612 0.292 Cd
0.087 0.388 0.708 Cd
0.612 0.913 0.792 Cd
0.174 0.080 0.528 As
0.920 0.826 0.972 As
0.826 0.920 0.472 As
0.791 0.209 0.250 As
0.209 0.791 0.750 As
0.080 0.174 0.028 As
0.362 0.638 0.250 Br
0.638 0.362 0.750 Br

=====
********

Completed:
TmB3O6 | the Materials Project database | GGA-PBE | optimized geometry; SG = Pnma, No. 62; electronic total energy = -1313.8 eV/cell; magnetization = 0.00 μB per formula unit
1.0
-0.652 -6.623 -3.231
4.494 -5.337 10.032
-14.718 -1.404 5.846
Tm B O
16 48 96
Direct
0.750 0.765 0.629 Tm
0.750 0.010 0.121 Tm
0.750 0.436 0.327 Tm
0.750 0.490 0.621 Tm
0.250 0.265 0.871 Tm
0.750 0.064 0.827 Tm
0.250 0.564 0.673 Tm
0.250 0.235 0.371 Tm
0.250 0.936 0.173 Tm
0.250 0.990 0.879 Tm
0.250 0.510 0.379 Tm
0.750 0.412 0.951 Tm
0.750 0.088 0.451 Tm
0.250 0.912 0.549 Tm
0.250 0.588 0.049 Tm
0.750 0.735 0.129 Tm
0.569 0.128 0.259 B
0.059 0.823 0.033 B
0.930 0.686 0.782 B
0.569 0.372 0.759 B
0.931 0.372 0.759 B
0.423 0.142 0.110 B
0.577 0.642 0.390 B
0.427 0.346 0.056 B
0.559 0.323 0.467 B
0.923 0.858 0.890 B
0.578 0.483 0.152 B
0.922 0.017 0.652 B
0.422 0.517 0.848 B
0.069 0.628 0.241 B
0.070 0.186 0.718 B
0.941 0.323 0.467 B
0.573 0.846 0.444 B
0.070 0.314 0.218 B
0.430 0.186 0.718 B
0.078 0.517 0.848 B
0.927 0.846 0.444 B
0.931 0.128 0.259 B
0.923 0.642 0.390 B
0.441 0.823 0.033 B
0.573 0.654 0.944 B
0.431 0.872 0.741 B
0.078 0.983 0.348 B
0.077 0.358 0.610 B
0.559 0.177 0.967 B
0.427 0.154 0.556 B
0.927 0.654 0.944 B
0.423 0.358 0.610 B
0.570 0.686 0.782 B
0.577 0.858 0.890 B
0.570 0.814 0.282 B
0.059 0.677 0.533 B
0.077 0.142 0.110 B
0.073 0.346 0.056 B
0.422 0.983 0.348 B
0.578 0.017 0.652 B
0.441 0.677 0.533 B
0.431 0.628 0.241 B
0.430 0.314 0.218 B
0.930 0.814 0.282 B
0.941 0.177 0.967 B
0.073 0.154 0.556 B
0.922 0.483 0.152 B
0.069 0.872 0.741 B
0.025 0.210 0.477 O
0.061 0.931 0.432 O
0.975 0.710 0.023 O
0.561 0.069 0.568 O
0.566 0.121 0.048 O
0.250 0.639 0.276 O
0.568 0.064 0.337 O
0.750 0.643 0.755 O
0.439 0.569 0.932 O
0.750 0.600 0.952 O
0.544 0.880 0.097 O
0.475 0.210 0.477 O
0.750 0.139 0.224 O
0.750 0.603 0.422 O
0.034 0.076 0.186 O
0.434 0.879 0.952 O
0.433 0.601 0.782 O
0.568 0.436 0.837 O
0.750 0.304 0.432 O
0.567 0.399 0.218 O
0.939 0.431 0.068 O
0.250 0.804 0.068 O
0.567 0.101 0.718 O
0.926 0.765 0.371 O
0.074 0.265 0.129 O
0.250 0.397 0.578 O
0.750 0.543 0.158 O
0.523 0.770 0.722 O
0.534 0.924 0.814 O
0.250 0.357 0.245 O
0.750 0.897 0.922 O
0.544 0.620 0.597 O
0.966 0.924 0.814 O
0.574 0.735 0.871 O
0.250 0.043 0.342 O
0.066 0.621 0.452 O
0.939 0.069 0.568 O
0.466 0.076 0.186 O
0.066 0.879 0.952 O
0.426 0.235 0.629 O
0.456 0.380 0.403 O
0.566 0.379 0.548 O
0.956 0.880 0.097 O
0.061 0.569 0.932 O
0.934 0.121 0.048 O
0.023 0.270 0.778 O
0.977 0.730 0.222 O
0.750 0.857 0.255 O
0.067 0.601 0.782 O
0.750 0.900 0.452 O
0.250 0.100 0.548 O
0.250 0.400 0.048 O
0.034 0.424 0.686 O
0.977 0.770 0.722 O
0.434 0.621 0.452 O
0.432 0.936 0.663 O
0.933 0.399 0.218 O
0.250 0.696 0.568 O
0.475 0.290 0.977 O
0.023 0.230 0.278 O
0.934 0.379 0.548 O
0.561 0.431 0.068 O
0.477 0.230 0.278 O
0.250 0.143 0.745 O
0.250 0.103 0.078 O
0.025 0.290 0.977 O
0.068 0.564 0.163 O
0.439 0.931 0.432 O
0.044 0.120 0.903 O
0.466 0.424 0.686 O
0.750 0.196 0.932 O
0.525 0.790 0.523 O
0.426 0.265 0.129 O
0.975 0.790 0.523 O
0.534 0.576 0.314 O
0.574 0.765 0.371 O
0.433 0.899 0.282 O
0.068 0.936 0.663 O
0.250 0.861 0.776 O
0.456 0.120 0.903 O
0.750 0.361 0.724 O
0.750 0.957 0.658 O
0.250 0.457 0.842 O
0.044 0.380 0.403 O
0.074 0.235 0.629 O
0.926 0.735 0.871 O
0.956 0.620 0.597 O
0.432 0.564 0.163 O
0.933 0.101 0.718 O
0.477 0.270 0.778 O
0.067 0.899 0.282 O
0.966 0.576 0.314 O
0.525 0.710 0.023 O
0.932 0.064 0.337 O
0.523 0.730 0.222 O
0.932 0.436 0.837 O

=====

Cd2As3Br | the Materials Project database | GGA-PBE | optimized geometry; SG = C2/c, No. 15; electronic total energy = -38.3 eV/cell
1.0
-2.524 -1.159 -5.781
6.156 0.205 -1.787
1.323 -8.074 -0.119
Cd As Br
4 6 2
Direct
0.388 0.087 0.208 Cd
0.913 0.612 0.292 Cd
0.087 0.388 0.708 Cd
0.612 0.913 0.792 Cd
0.174 0.080 0.528 As
0.920 0.826 0.972 As
0.826 0.920 0.472 As
0.791 0.209 0.250 As
0.209 0.791 0.750 As
0.080 0.174 0.028 As
0.362 0.638 0.250 Br
0.638 0.362 0.750 Br

=====